Given.
┌──
[1]
! AgPtAu2, relaxed, DFT GGA-PBEsol; values from VASP
&SYSTEM
  ibrav = 0, nat = 4, ntyp = 3
/
ATOMIC_SPECIES
Au 196.97 Au.upf
Pt 195.08 Pt.upf
Ag 107.87 Ag.upf
CELL_PARAMETERS angstrom
-0.161 -2.258 -1.650
3.903 0.431 -0.971
1.467 -3.334 4.418
ATOMIC_POSITIONS angstrom
Au 1.104 -2.510 3.326
Au 0.202 -3.082 -0.558
Pt 1.871 -0.913 -1.311
Ag 2.605 -2.581 0.899
! ρ in g cm⁻³: 17.83
! Energy relative to the lowest polymorph listed for this composition in eV per atom: 0.014
! E_form in eV per atom: -0.002
! N(E_F) in states/eV per cell: 1.357


[2]
! AgPtAu2, relaxed, DFT GGA-PBEsol; values from VASP
&SYSTEM
  ibrav = 0, nat = 4, ntyp = 3
/
ATOMIC_SPECIES
Au 196.97 Au.upf
Pt 195.08 Pt.upf
Ag 107.87 Ag.upf
CELL_PARAMETERS angstrom
2.818 0.000 0.000
1.409 2.441 0.000
1.409 0.814 9.424
ATOMIC_POSITIONS angstrom
Au 1.409 0.814 2.367
Au 4.228 2.441 7.057
Pt 2.818 1.627 4.712
Ag 0.000 0.000 0.000
! ρ in g cm⁻³: 17.85
! Energy relative to the lowest polymorph listed for this composition in eV per atom: 0.003
! E_form in eV per atom: -0.012
! N(E_F) in states/eV per cell: 1.493


[3]
! AgPtAu2, relaxed, DFT GGA-PBEsol; values from VASP
&SYSTEM
  ibrav = 0, nat = 4, ntyp = 3
/
ATOMIC_SPECIES
Au 196.97 Au.upf
Pt 195.08 Pt.upf
Ag 107.87 Ag.upf
CELL_PARAMETERS angstrom
2.810 0.000 0.000
1.405 2.433 0.000
1.405 0.811 9.491
ATOMIC_POSITIONS angstrom
Au 4.214 2.433 0.029
Au 4.214 2.433 7.075
Pt 2.810 1.622 4.720
Ag 1.405 0.811 2.413
! ρ in g cm⁻³: 17.84
! Energy relative to the lowest polymorph listed for this composition in eV per atom: 0.000
! E_form in eV per atom: -0.015
! N(E_F) in states/eV per cell: 1.371


[4]
! AgPtAu2, relaxed, DFT GGA-PBEsol; values from VASP
&SYSTEM
  ibrav = 0, nat = 4, ntyp = 3
/
ATOMIC_SPECIES
Au 196.97 Au.upf
Pt 195.08 Pt.upf
Ag 107.87 Ag.upf
CELL_PARAMETERS angstrom
-0.991 2.321 1.289
-2.419 -0.416 -4.227
-2.903 -2.838 2.881
ATOMIC_POSITIONS angstrom
Au -4.155 -0.599 0.999
Au -2.158 -0.335 -1.056
Pt -0.495 1.160 0.644
Ag -1.451 -1.419 1.440
! ρ in g cm⁻³: 17.80
! Energy relative to the lowest polymorph listed for this composition in eV per atom: 0.023
! E_form in eV per atom: 0.008
! N(E_F) in states/eV per cell: 1.336


Q: Number 3 is which compound?
A: AgPtAu2


Q: Among the records above, which one has the lowest E_form?
A: number 3
└──
To do.
Retype every line earlier on that contains the word "for".
Here it is.
! Energy relative to the lowest polymorph listed for this composition in eV per atom: 0.014
! Energy relative to the lowest polymorph listed for this composition in eV per atom: 0.003
! Energy relative to the lowest polymorph listed for this composition in eV per atom: 0.000
! Energy relative to the lowest polymorph listed for this composition in eV per atom: 0.023